### Data
/*
Record 1
*/

### Work order
Could you copy everything further above unchanged?

### Reply
Record 1